Work order:
Could you reproduce all of the material further down without additions?

Source:
Diffraction record for As2O3. The powder diffraction line list is simulated, not measured: it uses a DFT-relaxed cell (GGA-PBE, the Materials Project) and λ = 1.5418 Å (Cu Kα).

Most intense lines, 5° ≤ 2θ ≤ 70°, low angle first:
2θ = 13.1°, d = 6.746 Å, intensity 96
2θ = 26.4°, d = 3.373 Å, intensity 100
2θ = 30.6°, d = 2.921 Å, intensity 27
2θ = 33.4°, d = 2.681 Å, intensity 45
2θ = 40.1°, d = 2.249 Å, intensity 24
2θ = 56.2°, d = 1.636 Å, intensity 27

Structure:
```
As2O3
1.0
0.0000 5.8420 5.8420
5.8420 0.0000 5.8420
5.8420 5.8420 0.0000
As O
8 12
Direct
0.1718 0.7761 0.7761
0.2239 0.2239 0.2239
0.2239 0.2239 0.8282
0.2239 0.8282 0.2239
0.7761 0.1718 0.7761
0.7761 0.7761 0.1718
0.7761 0.7761 0.7761
0.8282 0.2239 0.2239
0.0445 0.0445 0.7055
0.0445 0.7055 0.0445
0.0445 0.7055 0.7055
0.2945 0.2945 0.9555
0.2945 0.9555 0.2945
0.2945 0.9555 0.9555
0.7055 0.0445 0.0445
0.7055 0.0445 0.7055
0.7055 0.7055 0.0445
0.9555 0.2945 0.2945
0.9555 0.2945 0.9555
0.9555 0.9555 0.2945
```

=====

Diffraction record for Li2BF5. The powder diffraction line list is simulated, not measured: it uses a DFT-relaxed cell (GGA-PBE, the Materials Project) and λ = 1.5418 Å (Cu Kα).

Most intense lines, 5° ≤ 2θ ≤ 70°, low angle first:
2θ = 27.9°, d = 3.200 Å, intensity 62
2θ = 28.2°, d = 3.166 Å, intensity 100
2θ = 37.3°, d = 2.410 Å, intensity 65
2θ = 41.0°, d = 2.199 Å, intensity 34
2θ = 44.6°, d = 2.031 Å, intensity 82
2θ = 57.6°, d = 1.601 Å, intensity 25

Structure:
```
Li2BF5
1.0
-2.6270 2.6270 6.0532
2.6270 -2.6270 6.0532
2.6270 2.6270 -6.0532
Li B F
4 2 10
Direct
0.0000 0.0000 0.0000
0.0000 0.0000 0.5000
0.0000 0.5000 0.0000
0.5000 0.0000 0.5000
0.3750 0.6250 0.7500
0.6250 0.3750 0.2500
0.1250 0.8750 0.2500
0.2199 0.6916 0.5283
0.3084 0.3367 0.5283
0.3084 0.7801 0.9717
0.3367 0.3084 0.0283
0.6633 0.6916 0.9717
0.6916 0.2199 0.0283
0.6916 0.6633 0.4717
0.7801 0.3084 0.4717
0.8750 0.1250 0.7500
```

=====

Diffraction record for BaBiF7. The powder diffraction line list is simulated, not measured: it uses a DFT-relaxed cell (GGA-PBE, the Materials Project) and λ = 1.5418 Å (Cu Kα).

Most intense lines, 5° ≤ 2θ ≤ 70°, low angle first:
2θ = 19.3°, d = 4.592 Å, intensity 100
2θ = 19.8°, d = 4.489 Å, intensity 73
2θ = 22.4°, d = 3.967 Å, intensity 50
2θ = 24.6°, d = 3.626 Å, intensity 72
2θ = 24.9°, d = 3.581 Å, intensity 63
2θ = 26.9°, d = 3.318 Å, intensity 40

Structure:
```
BaBiF7
1.0
5.7958 0.0000 0.0000
0.0000 10.2035 0.0000
-0.3792 0.0000 10.5244
Ba Bi F
4 4 28
Direct
0.1917 0.1692 0.0079
0.1917 0.3308 0.5079
0.8083 0.6692 0.4921
0.8083 0.8308 0.9921
0.3152 0.6092 0.1865
0.3152 0.8908 0.6865
0.6848 0.1092 0.3135
0.6848 0.3908 0.8135
0.0169 0.6975 0.2427
0.0169 0.8025 0.7427
0.0905 0.5356 0.6192
0.0905 0.9644 0.1192
0.1524 0.0588 0.6305
0.1524 0.4412 0.1305
0.2446 0.7025 0.0156
0.2446 0.7975 0.5156
0.3806 0.0510 0.3876
0.3806 0.4490 0.8876
0.3979 0.5409 0.3673
0.3979 0.9591 0.8673
0.4898 0.2312 0.7545
0.4898 0.2688 0.2545
0.5102 0.7312 0.7455
0.5102 0.7688 0.2455
0.6021 0.0409 0.1327
0.6021 0.4591 0.6327
0.6194 0.5510 0.1124
0.6194 0.9490 0.6124
0.7554 0.2025 0.4844
0.7554 0.2975 0.9844
0.8476 0.5588 0.8695
0.8476 0.9412 0.3695
0.9095 0.0356 0.8808
0.9095 0.4644 0.3808
0.9831 0.1975 0.2573
0.9831 0.3025 0.7573
```

=====

Diffraction record for Na8NO3. The powder diffraction line list is simulated, not measured: it uses a DFT-relaxed cell (GGA-PBE, the Materials Project) and λ = 1.5418 Å (Cu Kα).

Most intense lines, 5° ≤ 2θ ≤ 70°, low angle first:
2θ = 27.3°, d = 3.264 Å, intensity 20
2θ = 31.6°, d = 2.827 Å, intensity 38
2θ = 45.4°, d = 1.999 Å, intensity 100
2θ = 53.8°, d = 1.705 Å, intensity 5
2θ = 56.4°, d = 1.632 Å, intensity 10
2θ = 66.1°, d = 1.414 Å, intensity 13

Structure:
```
Na8NO3
1.0
5.6541 0.0000 0.0000
0.0000 5.6541 0.0000
0.0000 0.0000 5.6541
Na N O
8 1 3
Direct
0.2474 0.2474 0.2474
0.2474 0.2474 0.7526
0.2474 0.7526 0.2474
0.2474 0.7526 0.7526
0.7526 0.2474 0.2474
0.7526 0.2474 0.7526
0.7526 0.7526 0.2474
0.7526 0.7526 0.7526

Reply:
Diffraction record for As2O3. The powder diffraction line list is simulated, not measured: it uses a DFT-relaxed cell (GGA-PBE, the Materials Project) and λ = 1.5418 Å (Cu Kα).

Most intense lines, 5° ≤ 2θ ≤ 70°, low angle first:
2θ = 13.1°, d = 6.746 Å, intensity 96
2θ = 26.4°, d = 3.373 Å, intensity 100
2θ = 30.6°, d = 2.921 Å, intensity 27
2θ = 33.4°, d = 2.681 Å, intensity 45
2θ = 40.1°, d = 2.249 Å, intensity 24
2θ = 56.2°, d = 1.636 Å, intensity 27

Structure:
```
As2O3
1.0
0.0000 5.8420 5.8420
5.8420 0.0000 5.8420
5.8420 5.8420 0.0000
As O
8 12
Direct
0.1718 0.7761 0.7761
0.2239 0.2239 0.2239
0.2239 0.2239 0.8282
0.2239 0.8282 0.2239
0.7761 0.1718 0.7761
0.7761 0.7761 0.1718
0.7761 0.7761 0.7761
0.8282 0.2239 0.2239
0.0445 0.0445 0.7055
0.0445 0.7055 0.0445
0.0445 0.7055 0.7055
0.2945 0.2945 0.9555
0.2945 0.9555 0.2945
0.2945 0.9555 0.9555
0.7055 0.0445 0.0445
0.7055 0.0445 0.7055
0.7055 0.7055 0.0445
0.9555 0.2945 0.2945
0.9555 0.2945 0.9555
0.9555 0.9555 0.2945
```

=====

Diffraction record for Li2BF5. The powder diffraction line list is simulated, not measured: it uses a DFT-relaxed cell (GGA-PBE, the Materials Project) and λ = 1.5418 Å (Cu Kα).

Most intense lines, 5° ≤ 2θ ≤ 70°, low angle first:
2θ = 27.9°, d = 3.200 Å, intensity 62
2θ = 28.2°, d = 3.166 Å, intensity 100
2θ = 37.3°, d = 2.410 Å, intensity 65
2θ = 41.0°, d = 2.199 Å, intensity 34
2θ = 44.6°, d = 2.031 Å, intensity 82
2θ = 57.6°, d = 1.601 Å, intensity 25

Structure:
```
Li2BF5
1.0
-2.6270 2.6270 6.0532
2.6270 -2.6270 6.0532
2.6270 2.6270 -6.0532
Li B F
4 2 10
Direct
0.0000 0.0000 0.0000
0.0000 0.0000 0.5000
0.0000 0.5000 0.0000
0.5000 0.0000 0.5000
0.3750 0.6250 0.7500
0.6250 0.3750 0.2500
0.1250 0.8750 0.2500
0.2199 0.6916 0.5283
0.3084 0.3367 0.5283
0.3084 0.7801 0.9717
0.3367 0.3084 0.0283
0.6633 0.6916 0.9717
0.6916 0.2199 0.0283
0.6916 0.6633 0.4717
0.7801 0.3084 0.4717
0.8750 0.1250 0.7500
```

=====

Diffraction record for BaBiF7. The powder diffraction line list is simulated, not measured: it uses a DFT-relaxed cell (GGA-PBE, the Materials Project) and λ = 1.5418 Å (Cu Kα).

Most intense lines, 5° ≤ 2θ ≤ 70°, low angle first:
2θ = 19.3°, d = 4.592 Å, intensity 100
2θ = 19.8°, d = 4.489 Å, intensity 73
2θ = 22.4°, d = 3.967 Å, intensity 50
2θ = 24.6°, d = 3.626 Å, intensity 72
2θ = 24.9°, d = 3.581 Å, intensity 63
2θ = 26.9°, d = 3.318 Å, intensity 40

Structure:
```
BaBiF7
1.0
5.7958 0.0000 0.0000
0.0000 10.2035 0.0000
-0.3792 0.0000 10.5244
Ba Bi F
4 4 28
Direct
0.1917 0.1692 0.0079
0.1917 0.3308 0.5079
0.8083 0.6692 0.4921
0.8083 0.8308 0.9921
0.3152 0.6092 0.1865
0.3152 0.8908 0.6865
0.6848 0.1092 0.3135
0.6848 0.3908 0.8135
0.0169 0.6975 0.2427
0.0169 0.8025 0.7427
0.0905 0.5356 0.6192
0.0905 0.9644 0.1192
0.1524 0.0588 0.6305
0.1524 0.4412 0.1305
0.2446 0.7025 0.0156
0.2446 0.7975 0.5156
0.3806 0.0510 0.3876
0.3806 0.4490 0.8876
0.3979 0.5409 0.3673
0.3979 0.9591 0.8673
0.4898 0.2312 0.7545
0.4898 0.2688 0.2545
0.5102 0.7312 0.7455
0.5102 0.7688 0.2455
0.6021 0.0409 0.1327
0.6021 0.4591 0.6327
0.6194 0.5510 0.1124
0.6194 0.9490 0.6124
0.7554 0.2025 0.4844
0.7554 0.2975 0.9844
0.8476 0.5588 0.8695
0.8476 0.9412 0.3695
0.9095 0.0356 0.8808
0.9095 0.4644 0.3808
0.9831 0.1975 0.2573
0.9831 0.3025 0.7573
```

=====

Diffraction record for Na8NO3. The powder diffraction line list is simulated, not measured: it uses a DFT-relaxed cell (GGA-PBE, the Materials Project) and λ = 1.5418 Å (Cu Kα).

Most intense lines, 5° ≤ 2θ ≤ 70°, low angle first:
2θ = 27.3°, d = 3.264 Å, intensity 20
2θ = 31.6°, d = 2.827 Å, intensity 38
2θ = 45.4°, d = 1.999 Å, intensity 100
2θ = 53.8°, d = 1.705 Å, intensity 5
2θ = 56.4°, d = 1.632 Å, intensity 10
2θ = 66.1°, d = 1.414 Å, intensity 13

Structure:
```
Na8NO3
1.0
5.6541 0.0000 0.0000
0.0000 5.6541 0.0000
0.0000 0.0000 5.6541
Na N O
8 1 3
Direct
0.2474 0.2474 0.2474
0.2474 0.2474 0.7526
0.2474 0.7526 0.2474
0.2474 0.7526 0.7526
0.7526 0.2474 0.2474
0.7526 0.2474 0.7526
0.7526 0.7526 0.2474
0.7526 0.7526 0.7526